**Excerpt**
/*
# PrZnFe2O6 PBE with a Hubbard U relaxed
# - DOS at the Fermi energy: 0.16 states/eV/atom
# - Electronic total energy: -6.47 eV/atom
data_PrZnFe2O6
_chemical_formula_sum 'Pr2 Zn2 Fe4 O12'
_symmetry_space_group_name_H-M 'P m n 21'
_symmetry_Int_Tables_number 31
_cell_length_a 7.726
_cell_length_b 5.484
_cell_length_c 5.326
_cell_angle_alpha 90.00
_cell_angle_beta 90.00
_cell_angle_gamma 90.00
loop_
_symmetry_equiv_pos_as_xyz
'x,y,z'
'-x+1/2,-y,z+1/2'
'-x,y,z'
'x+1/2,-y,z+1/2'
loop_
_atom_site_label
_atom_site_type_symbol
_atom_site_fract_x
_atom_site_fract_y
_atom_site_fract_z
Pr1 Pr 0.000 0.207 0.000
Zn1 Zn 0.000 0.712 0.472
Fe1 Fe 0.250 0.256 0.488
O1 O 0.000 0.296 0.568
O2 O 0.000 0.773 0.856
O3 O 0.191 0.946 0.298
O4 O 0.196 0.473 0.210

----------

# 1
Density functional theory data (PBE) for Ce2NiPt after structural relaxation.

abc: 3.038 3.038 10.093
angles: 81.34 81.34 60.00
Element x y z (fractional)
Ni  0.500  0.500  0.500
Ce  0.092  0.092  0.725
Ce  0.908  0.908  0.275
Pt  0.000  0.000  0.000

## Properties
The density of states at the Fermi level is 1.755 states/eV per atom. As for the calculated total energy: -0.218 hartree per atom. The calculation puts the magnetic moment at 0.0 μB per cell.


# 2
Density functional theory data (PBE) for Ce2NiPt after structural relaxation.

abc: 5.773 5.773 4.310
angles: 90.00 90.00 141.75
Site moments in Bohr magnetons follow the coordinates.
Element x y z (fractional)
Pt  0.586  0.414  0.500  -0.01
Ce  0.865  0.135  0.500  0.44
Ce  0.139  0.861  0.000  0.46
Ni  0.410  0.590  0.000  -0.05

## Properties
The density of states at the Fermi level is 2.206 states/eV per atom. As for the calculated total energy: -0.243 hartree per atom. The calculation puts the magnetic moment at 1.0 μB per cell.


# 3
Density functional theory data (PBE) for Ce2Ni2Pt15 after structural relaxation.

abc: 6.955 6.955 6.955
angles: 83.04 83.04 83.04
Site moments in Bohr magnetons follow the coordinates.
Element x y z (fractional)
Ni  0.098  0.098  0.098  0.56
Ni  0.902  0.902  0.902  0.56
Pt  0.000  0.690  0.310  0.04
Pt  0.655  0.655  0.157  0.03
Pt  0.000  0.500  0.000  0.06
Pt  0.655  0.157  0.655  0.03
Pt  0.500  0.000  0.000  0.06
Pt  0.843  0.345  0.345  0.03
Pt  0.690  0.000  0.310  0.04
Pt  0.000  0.000  0.500  0.06
Pt  0.310  0.690  0.000  0.04
Pt  0.345  0.345  0.843  0.03
Pt  0.157  0.655  0.655  0.03
Pt  0.690  0.310  0.000  0.04
Pt  0.000  0.310  0.690  0.04
Pt  0.345  0.843  0.345  0.03
Pt  0.310  0.000  0.690  0.04
Ce  0.331  0.331  0.331  -0.36
Ce  0.669  0.669  0.669  -0.36

## Properties
The density of states at the Fermi level is 1.247 states/eV per atom. As for the calculated total energy: -0.235 hartree per atom. The calculation puts the magnetic moment at 0.8 μB per cell.


Energy relative to the elements in meV/atom, matching the order above: 0 -692 -394
*/
**Work order**
Your job: search the block further up for the word "As" and restate each line that has it.
**Reply**
The density of states at the Fermi level is 1.755 states/eV per atom. As for the calculated total energy: -0.218 hartree per atom. The calculation puts the magnetic moment at 0.0 μB per cell.
The density of states at the Fermi level is 2.206 states/eV per atom. As for the calculated total energy: -0.243 hartree per atom. The calculation puts the magnetic moment at 1.0 μB per cell.
The density of states at the Fermi level is 1.247 states/eV per atom. As for the calculated total energy: -0.235 hartree per atom. The calculation puts the magnetic moment at 0.8 μB per cell.